Our Missionaries
Melissa Baccarella
Melissa Baccarella is our missionary to Italy. She has served on the field since February 2003. Her current assignment is with a church-planting team in Caselle, near the Northwest city of Turin. This is a city that has not had an evangelical church for over a century. Her strengths lie in teaching and media development. She produces graphic designs for teaching in the church. During COVID, she produced an interactive Christian calendar. Melissa disciples ladies in the church. She hosts coffee events for the local community as an opportunity to share the gospel. She has recently completed her Ph.D. in the area of missions
Jim and Kristina Foster
Cape Town, South Africa
Jim and Kristina Foster live in Cape Town, South Africa. Jim is the administrator of Good Hope Christian School that meets in Community Baptist Church. The school currently has 710 students. They live and work in a low-income, high crime, and drug impacted area. This school, as well as the church, makes a huge difference in their community. As a professional photographer, Kristina has a special ministry called “Now I Lay Me Down to Sleep” in the local hospitals. She takes photos for families who have had a still born baby to provide them images to remember the little one they have lost. This is also an opportunity to share eternal hope with grieving hearts.
Mike and Rachel Gustafson
Kyiv, Ukraine
Michael & Rachel Gustafson are our missionaries to Ukraine. Mike is a key figure in overseeing the Ukraine Relief Fund which helps 3 to 4 million refugees. The Ukrainian Relief Fund has joined with more than 50 partner churches in Eastern Europe to distribute more than 60,000 meals and other forms of aid to refugees. More than 25,000 refugees have received some sort of assistance from this fund. Thousands have heard a clear presentation of the gospel, and more than 3,500 Bibles and tracts have been distributed among the sheltering refugees. Rachel home schools their 5 children (Ellie, Daniel, Johnathan, Susanna, and Titus) and works with Ladies Ministries.
Dennis & Laura Leavell
Brugge, Belgium
Dennis & Laura Leavell are planting churches in Brugge, Belgium. This is a very affluent country with very few Christian or churches. They have planted two churches. Dennis has been establishing a curriculum that can be used to train a handful of men who will become the next generation of pastors and leaders. He also sponsors city-wide events that shows how Christ can address the current needs of the community. Laura works with the ladies of the church to make baked items like cookies and brownies that will be hand-delivered to the families in hopes of introducing them to our Savior. She has an everexpanding quilting ministry.
Gary, Sherrie & Liarra Lester
Calculated molecules, as found in the file
[1]
C9H15BN3O2 | ωB97M-V/def2-TZVPD

Values from the calculation:
energy above the lowest of the compared OMol25 structures with the same formula, charge and spin: 0.343 eV
total charge: +1
LUMO level: -0.096 Ha
HOMO: -0.4245 Eh
orbital gap: 8.93 eV

Each line ends with the Löwdin charge.
Element x y z (Å)
B  0.66  1.40  2.25  -0.699
C  2.25  0.53  -0.17  -0.066
C  1.36  0.78  -1.16  -0.030
C  1.99  -0.42  0.93  -0.056
C  -0.01  0.32  -1.06  -0.176
C  -1.94  -0.65  -1.61  -0.390
C  -0.78  0.33  0.04  0.026
C  0.94  -0.14  1.80  -0.137
C  0.58  -1.25  2.90  -0.018
C  -0.22  -0.72  -3.33  0.042
N  -0.79  -0.27  -2.09  0.010
N  -2.01  -0.37  -0.31  0.170
N  -2.96  -1.25  -2.16  0.247
O  -0.55  1.84  2.63  0.147
O  1.76  2.17  2.00  0.165
H  3.33  0.86  -0.25  0.147
H  1.64  1.40  -1.99  0.112
H  2.68  -1.25  1.00  0.122
H  -0.88  0.90  1.01  0.127
H  1.38  -1.97  3.05  0.073
H  -0.13  -1.76  2.32  0.052
H  0.34  -0.85  3.89  0.085
H  0.18  0.16  -3.85  0.118
H  0.64  -1.34  -3.09  0.114
H  -0.94  -1.27  -3.84  0.071
H  -2.90  -0.15  0.14  0.175
H  -3.06  -1.59  -3.03  0.078
H  -3.74  -1.31  -1.52  0.146
H  -0.57  2.77  3.09  0.190
H  1.75  3.10  2.40  0.154

***

[2]
C9H15BrN10O2PdSSbSe4 | ωB97M-V/def2-TZVPD

Values from the calculation:
<S²>: 6.02
energy above the lowest of the compared OMol25 structures with the same formula, charge and spin: 2.613 eV
multiplicity: 5
total charge: +1
LUMO level (alpha / beta): -0.167 / -0.229 Ha
HOMO (alpha / beta): -0.3745 / -0.3747 Eh
orbital gap (alpha / beta): 5.64 / 3.97 eV

Each line ends with the Mulliken spin population.
Element x y z (Å)
Pd  -0.62  0.20  -0.46  0.808
C  0.61  -0.91  4.67  0.006
C  0.14  0.48  4.49  0.003
N  -0.11  1.31  5.44  0.001
N  -0.50  2.45  4.80  0.000
C  -0.51  2.39  3.46  0.000
S  -0.85  3.61  2.41  0.001
N  -0.11  1.08  3.25  0.001
N  0.06  0.44  2.02  0.037
H  0.78  -1.07  5.73  -0.005
H  1.54  -1.07  4.12  0.000
H  -0.13  -1.63  4.32  -0.001
H  -0.72  3.28  5.33  0.000
H  -0.11  -0.55  2.18  -0.005
H  1.03  0.53  1.74  -0.002
N  0.62  -1.79  -0.76  0.044
N  0.84  -2.13  -2.10  -0.006
C  0.22  -1.48  -3.11  0.005
N  0.48  -1.90  -4.34  0.002
N  -0.60  -0.50  -2.74  0.036
N  -1.34  0.19  -3.68  -0.005
O  -1.25  -0.07  -4.89  0.001
O  -2.07  1.04  -3.25  -0.001
H  1.53  -1.64  -0.34  -0.003
H  0.17  -2.57  -0.28  -0.002
H  1.47  -2.88  -2.30  0.001
H  1.12  -2.65  -4.53  0.000
H  0.00  -1.42  -5.09  0.000
Br  -4.33  5.26  -2.49  0.000
C  -3.29  3.93  -1.66  0.003
C  -1.91  4.02  -1.69  0.000
C  -1.18  3.02  -1.08  0.008
N  -1.76  1.98  -0.46  0.066
C  -3.09  1.92  -0.44  0.004
C  -3.90  2.87  -1.02  0.001
H  -1.41  4.84  -2.18  0.000
H  -0.11  3.06  -1.05  0.003
H  -3.53  1.08  0.10  0.002
H  -4.98  2.79  -0.97  0.000
Se  2.99  -4.45  4.02  0.980
Sb  4.27  -3.77  1.98  -0.165
Se  3.39  -1.58  1.36  0.262
Se  3.59  -5.18  0.04  0.928
Se  6.72  -3.73  2.42  0.992

***

[3]
C9H15BrN10O2PdSSbSe4 | ωB97M-V/def2-TZVPD

Values from the calculation:
<S²>: 6.02
The entry goes on
Gary and Sherrie Lester lead a small church on the coast of Austrialia. This is a country with very few evangelical churches. The Lord opened doors for Gary to share the Gospel this year with a number of high school students. He has also served at a youth camp. Sherrie is battling her way back from cancer. Her desire to use her talent for the Lord has been limited by severe carpal tunnel. She had three surgeries on her hands (carpal tunnel surgery on both hands and surgery for one finger). They are always looking for more witnessing opportunities like new people moving to the area. Pray for their witnessing opportunities as they share the gospel in a country without many churches.
Bruce and Margie McLain
California, USA
Bruce is the statewide representative of the CARBC (California Association of Regular Baptist Churches). He helps to set up conferences to give pastors and Christian workers the opportunity to get together for encouragement from the Scriptures and fellowship time. He is a member of the Council of 18 which leads the General Association of Regular Baptist Churches. Bruce speaks in churches that do not have a pastor or have a need for preaching on a particular Sunday. He helps churches without a pastor along in the process of calling a new pastor. He also advises churches who are going through transitional times.
Jerry and Linda Neuman
Jerry and Lynda Neuman have been missionaries with ABWE International since 1980. They have lived and served in Brazil's Northeast since 1984 and in the metropolis of Fortaleza since 2002. Jerry was part of a team that started a mission board that sends out missionaries from Brazil and teaches classes at the seminary. Lynda is involved in discipleship, counseling, and leading women's Bible studies. They have 4 grown children (Nate, Rachael, Luke and Lydia), who have given them 8 grandchildren. Lydia is pursuing becoming a missionary. She has started a children's Bible club and has taught English classes to gain evangelistic contacts.
Sharon Rahilly
Togo, West Africa
Sharon Rahilly directs and teaches in a nursing program at two missionary hospitals in Togo, Africa. The first is in southern Togo, Hospital Baptiste Biblique in Tsiko, where they have been educating Togolese nurses since 1997. The second is the Hospital of Mango (northern Togo). These hospitals are approximately 7 1/2 hours apart. The schools bring in candidates who are mostly Muslim, and they teach them the skills of nursing. The students are required to take a week-long Bible course once every trimester. The instructor consistently takes the students to the Bible, finding there the answers to so many questions and sharing with them who Jesus is, according to God’s Word.
John & Beabea Rogers
John Rogers is a missionary for Barnabas Enrichment Ministries. John is involved in consulting and evaluating ministries of small churches and church plants under development. He helps churches to facilitate the Biblical relationships God desires for us by assisting them with conflict resolution. He teaches seminars that include witnessing and evangelism, Biblical relationships, and outreach opportunities as well as other areas of ministry and life. John and Beabea meet with pastors and their wives to offer counsel and prayer, as well as on-going encouragement. John and Beabea are involved in pastor / missionary refreshment which gives missionaries time to rest, visit family, or other needs that draw them away from the mission field for a few months
### Between two parts of the article: data records
<<<
107
Properties=species:S:1:pos:R:3:lowdin_charge:R:1 method="wB97M-V/def2-TZVPD" mol_weight_g_mol=1198.7 total_charge=+2 e_homo_ev=-12.8363 e_above_lowest_ev=2.001 total_energy_ev=-234249.4201
Hf -0.2293 -0.8099 -0.1295 1.59
Cl -5.7449 -3.1399 -3.1522 0.73
C -4.6916 -2.1919 -2.1909 -0.70
C -5.1995 -1.2680 -1.2815 -0.70
Cl -6.8937 -1.0544 -1.1268 0.73
C -4.3299 -0.5182 -0.4841 -0.61
Cl -4.9624 0.6031 0.6516 0.80
C -2.9531 -0.6855 -0.5884 -0.35
O -2.0220 -0.0290 0.1714 -0.29
C -2.4446 -1.5835 -1.5417 -0.36
O -1.1107 -1.6671 -1.6308 -0.24
C -3.3124 -2.3367 -2.3199 -0.60
Cl -2.6280 -3.4448 -3.4451 0.74
F -2.4257 0.8259 -4.5451 0.13
C -1.2870 0.7460 -3.8711 -0.23
C -1.2853 1.0894 -2.5316 -0.04
C -0.1088 1.0120 -1.7891 -0.32
C 1.0586 0.5342 -2.4274 -0.17
C 1.0097 0.2247 -3.7813 -0.20
F 2.1080 -0.2761 -4.3646 0.10
C -0.1418 0.3373 -4.5305 0.14
C 2.2617 0.2880 -1.6074 -0.27
C 3.5678 0.5467 -1.9947 0.03
C 4.5984 0.1838 -1.1414 0.01
C 4.2962 -0.4084 0.0781 0.00
C 2.9714 -0.6048 0.4099 -0.08
N 1.9721 -0.2720 -0.4154 -0.02
H -2.2158 1.4363 -2.1038 0.13
H -0.1531 0.1018 -5.5864 0.16
H 3.7685 1.0236 -2.9428 0.14
H 5.6279 0.3558 -1.4254 0.13
H 5.0754 -0.7193 0.7587 0.12
H 2.6845 -1.0437 1.3571 0.12
C -0.3863 -5.3932 -0.5954 -0.02
N 0.2731 -4.5721 -1.5900 0.06
C 0.7611 -3.3565 -1.3754 -0.54
N 1.4162 -2.7996 -2.4099 0.23
O 0.7025 -2.7650 -0.2397 -0.11
H -0.2338 -6.4391 -0.8520 0.10
H -1.4568 -5.1893 -0.5527 0.09
H 0.0703 -5.2006 0.3660 0.07
H 0.2100 -4.8913 -2.5427 0.15
H 1.4351 -3.2392 -3.3135 0.14
H 1.9226 -1.9433 -2.3028 0.08
O 0.1882 -0.0935 1.6286 -0.55
As -1.1214 -0.2825 2.7198 1.33
C -1.7145 -2.0750 2.3330 -0.33
C -3.0305 -2.4691 2.1077 -0.06
C -3.3303 -3.8211 2.0557 -0.03
C -2.3440 -4.7645 2.3063 -0.05
C -1.0342 -4.3696 2.5476 -0.08
C -0.7051 -3.0256 2.5182 -0.14
C -2.5137 1.0358 3.0636 -0.31
C -3.2728 0.6869 4.1782 -0.09
C -4.2893 1.5287 4.5956 -0.04
C -4.5279 2.7168 3.9159 -0.04
C -3.7621 3.0540 2.8097 -0.07
C -2.7605 2.2051 2.3665 -0.16
C -0.3087 -0.4011 4.4890 -0.29
C 0.3362 0.7344 4.9741 -0.08
C 0.9113 0.7165 6.2333 -0.05
C 0.8405 -0.4304 7.0129 -0.05
C 0.1907 -1.5578 6.5322 -0.05
C -0.3887 -1.5477 5.2719 -0.09
H -3.8182 -1.7298 2.0217 0.10
H -4.3477 -4.1407 1.8715 0.12
H -2.5996 -5.8162 2.3307 0.12
H -0.2793 -5.1065 2.7884 0.12
H 0.3079 -2.7077 2.7364 0.11
H -3.0675 -0.2312 4.7177 0.11
H -4.8883 1.2683 5.4575 0.12
H -5.3204 3.3741 4.2474 0.12
H -3.9572 3.9783 2.2816 0.12
H -2.1968 2.4569 1.4799 0.07
H 0.3834 1.6287 4.3625 0.08
H 1.4065 1.6012 6.6110 0.12
H 1.2806 -0.4396 8.0008 0.12
H 0.1276 -2.4482 7.1434 0.12
H -0.9104 -2.4264 4.9150 0.10
C -0.3228 4.6154 4.0000 -0.09
C 1.0524 4.4778 3.3490 -0.24
C 0.9729 4.1270 1.8588 -0.27
C 0.5665 2.6716 1.6308 -0.31
Ge 0.1591 2.4812 -0.3263 1.06
C -1.2912 3.6955 -1.0103 -0.27
C -1.3839 5.2059 -0.7309 -0.26
C -0.4825 6.0768 -1.6081 -0.25
C 0.9840 6.0977 -1.1841 -0.11
H -0.2250 4.9428 5.0349 0.08
H -0.8797 3.6755 4.0010 0.05
H -0.9159 5.3633 3.4698 0.08
H 1.6486 3.7236 3.8725 0.10
H 1.5841 5.4262 3.4411 0.11
>>>
### The data records stop here
Caleb & Christina Suko
Odessa, Ukraine
Caleb and Christina Suko are meeting the needs of wartorn Ukraine. The family hands out humanitarian aids like food and blankets while Caleb preaches the gospel. He speaks at conferences and meets for discipleship with young men, many who are worried about getting drafted into the military. They hand out Bible literature around holidays and special times of the year. They have started the "Bible Today" journal and they produce a correspondence Bible course that offers people the chance to study God’s Word in greater depth. They continue in the work of planting an international church in Odessa. Christina serves at Choose Life, a pro-life women’s center where she councils women and shares the gospel to give hope to a hopeless situation.
Bob & Lynn Trout
Bob and Lynne are in their 57rd year as missionaries, 45 of those years in Colombia. Their primary ministry is with the ABWE Ambassadors, a ministry which hosts fellowships for retired missionaries who have been on the field for 20, 30, or 40 years. On average, they share about 400 emails/month, 30 phone calls along with visits, and the 8 Ambassador Gatherings. Their heart is missions and missionaries. Bob has been able to teach classes at Bogota Seminary via zoom. Lynne teaches an evening Bible study with 70+ ladies in Bogota via zoom in addition to teaching at ladies' retreats. Bob and Lynne have been married for 61 years and have 3 children and 11 grandchildren.
Kevin & Tanya Van Horne
Kevin is the Executive Director of IFES/USA: International Fellowship of Evangelical Students which disciples college-age students so they will be transformed by the gospel and impact their universities and churches. Kevin oversees a staff that connects with students for worship, prayer, Bible study, and ministry training. Tanya has recently joined The Lausanne Movement as Director of Collaboration – an organization that seeks to unite all evangelicals in the common task of the total evangelization of the world. She is currently spending the bulk of her time meeting 1:1 with each of the 64 network leaders who are under her care.
Nate & Rachel Waldock
Nathan and Rachel are missionaries to Cambodia. Cambodia has had such a long history of Buddhism that it has become tied to Cambodia's national identity. Since parenting skills are needed, Nathan recently started a parenting class which involves teaching Biblical principles, and then showing practical application the next week. For the past several months, they have been having a group of young ladies (around ages 9-14) come to their home for a Bible study. Recently, the Lord has provided a wooden house owned by a family in the church, the church can use for services. Pray for them as they disciple believers and develop in them a heart for evangelism.
Kevin & Darleen Weston
Kansas, USA
Kevin & Darleen Weston serve in very remote parts of the United States. Village Missions sends pastors to support churches that are in danger of closing. If that happens, the community would be left with no gospel witness. They sponsor a Kid’s club where the children study and memorize the Scripture. In addition, Care Home Ministry goes into three local nursing homes with a gospel message and singing. The church hosts local community events like banquets as a chance to share about Christ. Darlene homeschools her six children and leads a women’s Bible Study. Today, Kevin is a missionary pastor in the beautiful rural community of Bethany, Kansas.
Sam and Megan
South East Asia
Sam and Megan are missionaries in a closed country full of unreached, unengaged people groups. In these countries, professing Christians face fines, imprisonment, beatings, or death. The religion in their area is primarily Islam and animism. Sam is a gifted graphic designer and was hired by a local man to co-own a coffee business in town which has connected Sam with employees with whom he would like to share the gospel. Megan home schools the kids and has great relationships with her neighbors. She tries to connect with them on a regular basis to have opportunities to present the gospel. Pray the gospel breaks through in this very dark place.